### Given
'''
No. 1
Theoretical XRD peak list
Compound: Sr2ZnIn
Radiation: λ = 1.5418 Å (Cu Kα)
Structure: DFT lattice parameters and positions (PBE)
Lines closer than 0.1° are merged.

Atomic structure:
Cell lengths 5.671, 5.671, 5.671 Å; angles 60.00, 60.00, 60.00 degrees
Sites, in units of the cell vectors:
Sr 0.250 0.250 0.250
Sr 0.750 0.750 0.750
Zn 0.000 0.000 0.000
In 0.500 0.500 0.500

The 10 most intense peaks (10° ≤ 2θ ≤ 90°), low angle first:
2θ/deg	d_spacing	I_rel
19.17	4.631	4
31.55	2.836	100
37.18	2.418	2
45.22	2.005	18
49.54	1.840	1
56.18	1.637	37
59.93	1.544	1
65.87	1.418	11
74.88	1.268	16
83.51	1.158	4

=====

No. 2
Theoretical XRD peak list
Compound: CuHClO
Radiation: λ = 1.5418 Å (Cu Kα)
Structure: DFT lattice parameters and positions (PBE)
Lines closer than 0.1° are merged.

Atomic structure:
Cell lengths 6.009, 6.827, 5.674 Å; angles 90.00, 114.38, 90.00 degrees
Sites, in units of the cell vectors:
Cu 0.011 0.121 0.271
Cu 0.011 0.379 0.771
Cu 0.989 0.621 0.229
Cu 0.989 0.879 0.729
H 0.301 0.641 0.006
H 0.301 0.859 0.506
H 0.699 0.141 0.494
H 0.699 0.359 0.994
Cl 0.316 0.093 0.130
Cl 0.316 0.407 0.630
Cl 0.684 0.593 0.370
Cl 0.684 0.907 0.870
O 0.122 0.639 0.945
O 0.122 0.861 0.445
O 0.878 0.139 0.555
O 0.878 0.361 0.055

The 10 most intense peaks (10° ≤ 2θ ≤ 90°), low angle first:
2θ/deg	d_spacing	I_rel
16.20	5.473	100
31.17	2.869	22
31.41	2.848	70
32.75	2.734	13
36.68	2.450	32
38.82	2.320	38
40.17	2.245	14
47.70	1.906	13
53.10	1.725	16
56.85	1.620	18

=====

Diffraction record for CsAgHgI4. The powder diffraction line list is computed, not measured: it uses a structure optimized by DFT (GGA-PBE) and Cu Kα (λ = 1.5418 Å).
Neutral-atom scattering factors, no anomalous dispersion.

Cell and atoms:
```
CsAgHgI4
1.0
7.4626 0.0000 0.0000
0.0000 8.6004 0.0000
-2.7202 0.0000 10.1256
Cs Ag Hg I
2 2 2 8
Direct
0.2300 0.2500 0.0716
0.7700 0.7500 0.9284
0.3154 0.2500 0.6986
0.6846 0.7500 0.3014
0.1967 0.7500 0.3393
0.8033 0.2500 0.6607
0.0633 0.0003 0.7216
0.0633 0.4997 0.7216
0.3464 0.7500 0.0919
0.4646 0.2500 0.4730
0.5354 0.7500 0.5270
0.6536 0.2500 0.9081
0.9367 0.9997 0.2784
0.9367 0.5003 0.2784
```

Principal peaks in the range 5 to 70 degrees two-theta, low angle first:
hkl 0 1 1, 6.555 Å, 13.5 deg, rel. 100
hkl 0 2 0, 4.300 Å, 20.7 deg, rel. 53
hkl 1 0 2, 3.714 Å, 24.0 deg, rel. 52
hkl 1 2 0, 3.693 Å, 24.1 deg, rel. 58
hkl 1 0 -3, 3.415 Å, 26.1 deg, rel. 87
hkl 2 2 0, 2.761 Å, 32.4 deg, rel. 51
hkl 2 2 -3, 2.382 Å, 37.8 deg, rel. 71
hkl 0 4 0, 2.151 Å, 42.0 deg, rel. 51

=====

(1)
Calculated X-ray powder pattern
Compound: H6PtRhPb2
Radiation: Cu Kα (weighted mean of Kα1 and Kα2)
Structure: a crystal structure in Alexandria, relaxed with PBE

Atomic structure:
a b c (Å): 4.7795 4.7795 5.8058
angles (deg): 103.47 103.47 91.15
Sites, in units of the cell vectors:
H 0.0000 0.0000 0.0000
H 0.1840 0.1840 0.7988
H 0.1836 0.6922 0.7882
H 0.4997 0.4997 0.0344
H 0.6922 0.1836 0.7882
H 0.6967 0.6967 0.8085
Pt 0.4216 0.4216 0.7330
Rh 0.9105 0.9105 0.7036
Pb 0.3130 0.8157 0.3551
Pb 0.8157 0.3130 0.3551

Most intense lines, 5 to 70 degrees two-theta, low angle first:
d_spacing  I_rel
5.475  480
3.239  204
3.155  287
2.897  1000
2.737  240
2.525  404
2.408  336
2.350  514
2.317  411
2.135  281


(2)
Calculated X-ray powder pattern
Compound: CoRe2W
Radiation: Cu Kα (weighted mean of Kα1 and Kα2)
Structure: a crystal structure in Alexandria, relaxed with PBE

Atomic structure:
a b c (Å): 8.9462 2.7366 4.7449
angles (deg): 90.00 99.90 90.00
Sites, in units of the cell vectors:
Co 0.0000 0.0000 0.0000
Co 0.5000 0.5000 0.0000
Re 0.2423 0.5000 0.2365
Re 0.2577 0.0000 0.7635
Re 0.7423 0.0000 0.2365
Re 0.7577 0.5000 0.7635
W 0.0000 0.5000 0.5000
W 0.5000 0.0000 0.5000

Most intense lines, 5 to 70 degrees two-theta, low angle first:
d_spacing  I_rel
4.406  77
2.962  67
2.614  52
2.232  1000
2.203  316
1.932  209
1.924  430
1.369  209
1.357  129
1.353  67


(3)
Calculated X-ray powder pattern
Compound: Mg4GeRh2
'''

### What to do
The reader should write out all of the listing further above unchanged.

### Done
No. 1
Theoretical XRD peak list
Compound: Sr2ZnIn
Radiation: λ = 1.5418 Å (Cu Kα)
Structure: DFT lattice parameters and positions (PBE)
Lines closer than 0.1° are merged.

Atomic structure:
Cell lengths 5.671, 5.671, 5.671 Å; angles 60.00, 60.00, 60.00 degrees
Sites, in units of the cell vectors:
Sr 0.250 0.250 0.250
Sr 0.750 0.750 0.750
Zn 0.000 0.000 0.000
In 0.500 0.500 0.500

The 10 most intense peaks (10° ≤ 2θ ≤ 90°), low angle first:
2θ/deg	d_spacing	I_rel
19.17	4.631	4
31.55	2.836	100
37.18	2.418	2
45.22	2.005	18
49.54	1.840	1
56.18	1.637	37
59.93	1.544	1
65.87	1.418	11
74.88	1.268	16
83.51	1.158	4

=====

No. 2
Theoretical XRD peak list
Compound: CuHClO
Radiation: λ = 1.5418 Å (Cu Kα)
Structure: DFT lattice parameters and positions (PBE)
Lines closer than 0.1° are merged.

Atomic structure:
Cell lengths 6.009, 6.827, 5.674 Å; angles 90.00, 114.38, 90.00 degrees
Sites, in units of the cell vectors:
Cu 0.011 0.121 0.271
Cu 0.011 0.379 0.771
Cu 0.989 0.621 0.229
Cu 0.989 0.879 0.729
H 0.301 0.641 0.006
H 0.301 0.859 0.506
H 0.699 0.141 0.494
H 0.699 0.359 0.994
Cl 0.316 0.093 0.130
Cl 0.316 0.407 0.630
Cl 0.684 0.593 0.370
Cl 0.684 0.907 0.870
O 0.122 0.639 0.945
O 0.122 0.861 0.445
O 0.878 0.139 0.555
O 0.878 0.361 0.055

The 10 most intense peaks (10° ≤ 2θ ≤ 90°), low angle first:
2θ/deg	d_spacing	I_rel
16.20	5.473	100
31.17	2.869	22
31.41	2.848	70
32.75	2.734	13
36.68	2.450	32
38.82	2.320	38
40.17	2.245	14
47.70	1.906	13
53.10	1.725	16
56.85	1.620	18

=====

Diffraction record for CsAgHgI4. The powder diffraction line list is computed, not measured: it uses a structure optimized by DFT (GGA-PBE) and Cu Kα (λ = 1.5418 Å).
Neutral-atom scattering factors, no anomalous dispersion.

Cell and atoms:
```
CsAgHgI4
1.0
7.4626 0.0000 0.0000
0.0000 8.6004 0.0000
-2.7202 0.0000 10.1256
Cs Ag Hg I
2 2 2 8
Direct
0.2300 0.2500 0.0716
0.7700 0.7500 0.9284
0.3154 0.2500 0.6986
0.6846 0.7500 0.3014
0.1967 0.7500 0.3393
0.8033 0.2500 0.6607
0.0633 0.0003 0.7216
0.0633 0.4997 0.7216
0.3464 0.7500 0.0919
0.4646 0.2500 0.4730
0.5354 0.7500 0.5270
0.6536 0.2500 0.9081
0.9367 0.9997 0.2784
0.9367 0.5003 0.2784
```

Principal peaks in the range 5 to 70 degrees two-theta, low angle first:
hkl 0 1 1, 6.555 Å, 13.5 deg, rel. 100
hkl 0 2 0, 4.300 Å, 20.7 deg, rel. 53
hkl 1 0 2, 3.714 Å, 24.0 deg, rel. 52
hkl 1 2 0, 3.693 Å, 24.1 deg, rel. 58
hkl 1 0 -3, 3.415 Å, 26.1 deg, rel. 87
hkl 2 2 0, 2.761 Å, 32.4 deg, rel. 51
hkl 2 2 -3, 2.382 Å, 37.8 deg, rel. 71
hkl 0 4 0, 2.151 Å, 42.0 deg, rel. 51

=====

(1)
Calculated X-ray powder pattern
Compound: H6PtRhPb2
Radiation: Cu Kα (weighted mean of Kα1 and Kα2)
Structure: a crystal structure in Alexandria, relaxed with PBE

Atomic structure:
a b c (Å): 4.7795 4.7795 5.8058
angles (deg): 103.47 103.47 91.15
Sites, in units of the cell vectors:
H 0.0000 0.0000 0.0000
H 0.1840 0.1840 0.7988
H 0.1836 0.6922 0.7882
H 0.4997 0.4997 0.0344
H 0.6922 0.1836 0.7882
H 0.6967 0.6967 0.8085
Pt 0.4216 0.4216 0.7330
Rh 0.9105 0.9105 0.7036
Pb 0.3130 0.8157 0.3551
Pb 0.8157 0.3130 0.3551

Most intense lines, 5 to 70 degrees two-theta, low angle first:
d_spacing  I_rel
5.475  480
3.239  204
3.155  287
2.897  1000
2.737  240
2.525  404
2.408  336
2.350  514
2.317  411
2.135  281


(2)
Calculated X-ray powder pattern
Compound: CoRe2W
Radiation: Cu Kα (weighted mean of Kα1 and Kα2)
Structure: a crystal structure in Alexandria, relaxed with PBE

Atomic structure:
a b c (Å): 8.9462 2.7366 4.7449
angles (deg): 90.00 99.90 90.00
Sites, in units of the cell vectors:
Co 0.0000 0.0000 0.0000
Co 0.5000 0.5000 0.0000
Re 0.2423 0.5000 0.2365
Re 0.2577 0.0000 0.7635
Re 0.7423 0.0000 0.2365
Re 0.7577 0.5000 0.7635
W 0.0000 0.5000 0.5000
W 0.5000 0.0000 0.5000

Most intense lines, 5 to 70 degrees two-theta, low angle first:
d_spacing  I_rel
4.406  77
2.962  67
2.614  52
2.232  1000
2.203  316
1.932  209
1.924  430
1.369  209
1.357  129
1.353  67


(3)
Calculated X-ray powder pattern
Compound: Mg4GeRh2